What is needed: write out only the lines underneath with the word "Ba1" in them.

First-principles (GGA-PBE) data for a geometry-optimized VAsI structure, as listed in Alexandria.

POSCAR file:
```
VAsI
1.0
4.103 0.000 0.000
-0.034 6.669 0.000
-1.714 -0.010 6.607
V As I
2 2 2
direct
0.000 0.000 0.000
0.430 0.000 0.765
0.549 0.831 0.101
0.878 0.831 0.664
0.217 0.179 0.383
0.717 0.362 0.884
```

Calculated values
Energy above the most stable polymorph in this dataset   101.6 meV per atom
Uncorrected formation energy   -0.085 eV/atom
Space-group type   P1, No. 1


HfV4As2: optimized geometry, PBE-GGA.

a = 3.3587 Å, b = 8.0165 Å, c = 8.0165 Å
α = 90.00°, β = 90.00°, γ = 90.00°
Fractional coordinates of all 14 atoms:
Hf (0.5000, 0.0000, 0.0000)
Hf (0.0000, 0.5000, 0.5000)
V (0.0000, 0.0783, 0.3359)
V (0.0000, 0.9217, 0.6641)
V (0.5000, 0.1641, 0.5783)
V (0.5000, 0.8359, 0.4217)
V (0.5000, 0.4217, 0.8359)
V (0.5000, 0.5783, 0.1641)
V (0.0000, 0.3359, 0.0783)
V (0.0000, 0.6641, 0.9217)
As (0.0000, 0.1988, 0.8012)
As (0.0000, 0.8012, 0.1988)
As (0.5000, 0.6988, 0.6988)
As (0.5000, 0.3012, 0.3012)

E_form	-0.4352	eV/atom
total energy	-8.396	eV per atom
space-group type	P4_2/mnm (136)


(1)
Material: Ba2SrZr
Method: DFT, PBE-GGA
State: optimized geometry

Raw total energy, eV for the cell shown: -12.33
Energy of formation, eV per atom: 0.437
Energy above the lowest structure with this stoichiometry, meV/atom: 0

The structure in CIF format:
```
data_Ba2SrZr
_space_group_name_H-M_alt 'P 4/m m m'
_space_group_IT_number 123
_space_group_name_Hall '-P 4 2'
_cell_length_a 3.892
_cell_length_b 3.892
_cell_length_c 11.725
_cell_angle_alpha 90.00
_cell_angle_beta 90.00
_cell_angle_gamma 90.00
loop_
_atom_site_label
_atom_site_type_symbol
_atom_site_fract_x
_atom_site_fract_y
_atom_site_fract_z
Ba1 Ba 0.000 0.000 0.210
Sr1 Sr 0.500 0.500 0.500
Zr1 Zr 0.500 0.500 0.000
```



(2)
Material: BaSr2Zr
Method: DFT, PBE-GGA
State: optimized geometry

Raw total energy, eV for the cell shown: -23.61
Energy of formation, eV per atom: 0.507
Energy above the lowest structure with this stoichiometry, meV/atom: 91

The structure in CIF format:
```
data_BaSr2Zr
_space_group_name_H-M_alt 'C 1 m 1'
_space_group_IT_number 8
_cell_length_a 13.050
_cell_length_b 3.852
_cell_length_c 6.975
_cell_angle_alpha 90.00
_cell_angle_beta 100.27
_cell_angle_gamma 90.00
loop_
_space_group_symop_operation_xyz
'x,y,z'
'x,-y,z'
'x+1/2,y+1/2,z'
'x+1/2,-y+1/2,z'
loop_
_atom_site_label
_atom_site_type_symbol
_atom_site_fract_x
_atom_site_fract_y
_atom_site_fract_z
Ba1 Ba 0.000 0.000 0.000
Sr1 Sr 0.235 0.000 0.726
Sr2 Sr 0.472 0.000 0.460
Zr1 Zr 0.236 0.500 0.236
```



(3)
Material: BaSrZr2
Method: DFT, PBE-GGA
State: optimized geometry

Raw total energy, eV for the cell shown: -36.77
Energy of formation, eV per atom: 0.579
Energy above the lowest structure with this stoichiometry, meV/atom: 239

The structure in CIF format:
```
data_BaSrZr2
_space_group_name_H-M_alt 'I m m 2'
_space_group_IT_number 44
_cell_length_a 3.712
_cell_length_b 6.332
_cell_length_c 12.179
_cell_angle_alpha 90.00
_cell_angle_beta 90.00
_cell_angle_gamma 90.00
loop_
_space_group_symop_operation_xyz
'x,y,z'
'-x,-y,z'
'-x,y,z'
'x,-y,z'
'x+1/2,y+1/2,z+1/2'
'-x+1/2,-y+1/2,z+1/2'
'-x+1/2,y+1/2,z+1/2'
'x+1/2,-y+1/2,z+1/2'
loop_
_atom_site_label
_atom_site_type_symbol
_atom_site_fract_x
_atom_site_fract_y
_atom_site_fract_z
Ba1 Ba 0.000 0.000 0.000
Sr1 Sr 0.000 0.500 0.793
Zr1 Zr 0.000 0.000 0.559
Zr2 Zr 0.000 0.500 0.236
```



(4)
Material: Ba2SrZr
Method: DFT, PBE-GGA
State: optimized geometry

Raw total energy, eV for the cell shown: -23.97
Energy of formation, eV per atom: 0.523
Energy above the lowest structure with this stoichiometry, meV/atom: 86

The structure in CIF format:
```
data_Ba2SrZr
_space_group_name_H-M_alt 'I m m m'
_space_group_IT_number 71
_space_group_name_Hall '-I 2 2'
_cell_length_a 4.019
_cell_length_b 6.604
_cell_length_c 13.550
_cell_angle_alpha 90.00
_cell_angle_beta 90.00
_cell_angle_gamma 90.00
loop_
_atom_site_label
_atom_site_type_symbol
_atom_site_fract_x

Ba1 Ba 0.000 0.000 0.210
Ba1 Ba 0.000 0.000 0.000
Ba1 Ba 0.000 0.000 0.000